Source =
/*
No. 1
This record from Materials Project describes an optimized crystal structure of FePb2Cl3O5. The functional is GGA+U.

POSCAR file:
```
FePb2Cl3O5
1.0
6.109 0.000 0.000
0.000 6.930 0.000
0.000 3.099 9.351
O Cl Pb Fe
10 6 4 2
Direct
0.740 0.683 0.507
0.747 0.334 0.488
0.478 0.376 0.704
0.011 0.391 0.704
0.978 0.624 0.296
0.240 0.317 0.493
0.438 0.854 0.727
0.511 0.609 0.296
0.247 0.666 0.512
0.938 0.146 0.273
0.708 0.889 0.020
0.208 0.111 0.980
0.418 0.109 0.308
0.918 0.891 0.692
0.679 0.421 0.970
0.179 0.579 0.030
0.251 0.582 0.779
0.242 0.106 0.730
0.742 0.894 0.270
0.751 0.418 0.221
0.996 0.503 0.500
0.496 0.497 0.500
```

Computed properties:
M_tot: 0.273 μB/atom
VASP energy: -4.49 eV/atom
symmetry: P2_1
formation energy: -0.807 eV/atom

No. 2
This record from Materials Project describes an optimized crystal structure of Rb2FeCl5O. The functional is GGA+U.

POSCAR file:
```
Rb2FeCl5O
1.0
7.461 0.000 0.000
0.000 10.478 0.000
0.000 0.000 13.855
Cl O Fe Rb
20 4 4 8
Direct
0.693 0.475 0.396
0.400 0.750 0.259
0.307 0.975 0.604
0.536 0.250 0.999
0.807 0.475 0.896
0.076 0.250 0.789
0.924 0.750 0.211
0.600 0.250 0.741
0.807 0.025 0.896
0.424 0.250 0.289
0.900 0.250 0.241
0.693 0.025 0.396
0.576 0.750 0.711
0.307 0.525 0.604
0.464 0.750 0.001
0.036 0.750 0.501
0.193 0.525 0.104
0.100 0.750 0.759
0.193 0.975 0.104
0.964 0.250 0.499
0.991 0.250 0.955
0.009 0.750 0.045
0.509 0.250 0.455
0.491 0.750 0.545
0.238 0.750 0.117
0.262 0.750 0.617
0.762 0.250 0.883
0.738 0.250 0.383
0.326 0.496 0.863
0.826 0.996 0.637
0.174 0.496 0.363
0.826 0.504 0.637
0.326 0.004 0.863
0.674 0.996 0.137
0.674 0.504 0.137
0.174 0.004 0.363
```

Computed properties:
M_tot: 0.778 μB/atom
VASP energy: -3.52 eV/atom
symmetry: Pnma
formation energy: -1.115 eV/atom

No. 3
This record from Materials Project describes an optimized crystal structure of Fe7Sb10Cl8O18. The functional is GGA+U.

POSCAR file:
```
Fe7Sb10Cl8O18
1.0
-3.203 7.823 -5.043
-3.819 -2.140 -9.073
-9.911 1.778 0.404
O Cl Fe Sb
18 8 7 10
Direct
0.568 0.077 0.546
0.058 0.390 0.090
0.860 0.344 0.964
0.990 0.821 0.260
0.098 0.504 0.343
0.726 0.026 0.271
0.398 0.094 0.853
0.241 0.295 0.704
0.010 0.179 0.740
0.942 0.610 0.910
0.432 0.923 0.454
0.274 0.974 0.729
0.236 0.203 0.443
0.902 0.496 0.657
0.764 0.797 0.557
0.140 0.656 0.036
0.602 0.906 0.147
0.759 0.705 0.296
0.427 0.278 0.077
0.573 0.722 0.923
0.468 0.390 0.367
0.140 0.677 0.559
0.860 0.323 0.441
0.775 0.981 0.780
0.225 0.019 0.220
0.532 0.610 0.633
0.500 0.000 0.000
0.145 0.295 0.269
0.838 0.588 0.469
0.162 0.412 0.531
0.484 0.136 0.359
0.516 0.864 0.641
0.855 0.705 0.731
0.831 0.972 0.426
0.801 0.346 0.794
0.519 0.766 0.327
0.161 0.130 0.868
0.173 0.519 0.912
0.169 0.028 0.574
0.827 0.481 0.088
0.839 0.870 0.132
0.199 0.654 0.206
0.481 0.234 0.673
```

Computed properties:
M_tot: 0.651 μB/atom
VASP energy: -5.64 eV/atom
symmetry: P-1
formation energy: -1.536 eV/atom

No. 4
This record from Materials Project describes an optimized crystal structure of FeSbCl8O8. The functional is GGA+U.

POSCAR file:
```
FeSbCl8O8
1.0
-6.834 2.990 0.441
-2.406 -6.692 4.789
2.996 4.562 7.250
O Cl Sb Fe
8 8 1 1
Direct
0.513 0.979 0.557
0.959 0.485 0.603
0.007 0.442 0.389
0.890 0.223 0.008
0.768 0.115 0.998
0.494 0.999 0.424
0.018 0.780 0.017
0.250 0.983 0.992
0.494 0.503 0.761
0.755 0.700 0.533
0.273 0.300 0.472
0.018 0.961 0.250
0.042 0.994 0.753
0.727 0.304 0.505
0.519 0.522 0.242
0.266 0.698 0.496
0.499 0.515 0.501
0.007 0.997 0.001
```

Computed properties:
M_tot: 0.833 μB/atom
VASP energy: -3.42 eV/atom
symmetry: P1
formation energy: 0.107 eV/atom
relative energy among the computed polymorphs: 0 meV per atom

No. 5
This record from Materials Project describes an optimized crystal structure of FeSbCl8O8. The functional is GGA+U.

POSCAR file:
```
FeSbCl8O8
1.0
6.910 0.000 0.000
0.000 6.910 0.000
0.000 0.000 8.877
O Cl Fe Sb
8 8 1 1
Direct
0.000 0.737 0.000
0.500 0.000 0.687
0.000 0.263 0.000
0.000 0.500 0.313
0.000 0.500 0.687
0.500 0.000 0.313
*/

Job =
Now type out everything earlier on verbatim.

Worked solution =
No. 1
This record from Materials Project describes an optimized crystal structure of FePb2Cl3O5. The functional is GGA+U.

POSCAR file:
```
FePb2Cl3O5
1.0
6.109 0.000 0.000
0.000 6.930 0.000
0.000 3.099 9.351
O Cl Pb Fe
10 6 4 2
Direct
0.740 0.683 0.507
0.747 0.334 0.488
0.478 0.376 0.704
0.011 0.391 0.704
0.978 0.624 0.296
0.240 0.317 0.493
0.438 0.854 0.727
0.511 0.609 0.296
0.247 0.666 0.512
0.938 0.146 0.273
0.708 0.889 0.020
0.208 0.111 0.980
0.418 0.109 0.308
0.918 0.891 0.692
0.679 0.421 0.970
0.179 0.579 0.030
0.251 0.582 0.779
0.242 0.106 0.730
0.742 0.894 0.270
0.751 0.418 0.221
0.996 0.503 0.500
0.496 0.497 0.500
```

Computed properties:
M_tot: 0.273 μB/atom
VASP energy: -4.49 eV/atom
symmetry: P2_1
formation energy: -0.807 eV/atom

No. 2
This record from Materials Project describes an optimized crystal structure of Rb2FeCl5O. The functional is GGA+U.

POSCAR file:
```
Rb2FeCl5O
1.0
7.461 0.000 0.000
0.000 10.478 0.000
0.000 0.000 13.855
Cl O Fe Rb
20 4 4 8
Direct
0.693 0.475 0.396
0.400 0.750 0.259
0.307 0.975 0.604
0.536 0.250 0.999
0.807 0.475 0.896
0.076 0.250 0.789
0.924 0.750 0.211
0.600 0.250 0.741
0.807 0.025 0.896
0.424 0.250 0.289
0.900 0.250 0.241
0.693 0.025 0.396
0.576 0.750 0.711
0.307 0.525 0.604
0.464 0.750 0.001
0.036 0.750 0.501
0.193 0.525 0.104
0.100 0.750 0.759
0.193 0.975 0.104
0.964 0.250 0.499
0.991 0.250 0.955
0.009 0.750 0.045
0.509 0.250 0.455
0.491 0.750 0.545
0.238 0.750 0.117
0.262 0.750 0.617
0.762 0.250 0.883
0.738 0.250 0.383
0.326 0.496 0.863
0.826 0.996 0.637
0.174 0.496 0.363
0.826 0.504 0.637
0.326 0.004 0.863
0.674 0.996 0.137
0.674 0.504 0.137
0.174 0.004 0.363
```

Computed properties:
M_tot: 0.778 μB/atom
VASP energy: -3.52 eV/atom
symmetry: Pnma
formation energy: -1.115 eV/atom

No. 3
This record from Materials Project describes an optimized crystal structure of Fe7Sb10Cl8O18. The functional is GGA+U.

POSCAR file:
```
Fe7Sb10Cl8O18
1.0
-3.203 7.823 -5.043
-3.819 -2.140 -9.073
-9.911 1.778 0.404
O Cl Fe Sb
18 8 7 10
Direct
0.568 0.077 0.546
0.058 0.390 0.090
0.860 0.344 0.964
0.990 0.821 0.260
0.098 0.504 0.343
0.726 0.026 0.271
0.398 0.094 0.853
0.241 0.295 0.704
0.010 0.179 0.740
0.942 0.610 0.910
0.432 0.923 0.454
0.274 0.974 0.729
0.236 0.203 0.443
0.902 0.496 0.657
0.764 0.797 0.557
0.140 0.656 0.036
0.602 0.906 0.147
0.759 0.705 0.296
0.427 0.278 0.077
0.573 0.722 0.923
0.468 0.390 0.367
0.140 0.677 0.559
0.860 0.323 0.441
0.775 0.981 0.780
0.225 0.019 0.220
0.532 0.610 0.633
0.500 0.000 0.000
0.145 0.295 0.269
0.838 0.588 0.469
0.162 0.412 0.531
0.484 0.136 0.359
0.516 0.864 0.641
0.855 0.705 0.731
0.831 0.972 0.426
0.801 0.346 0.794
0.519 0.766 0.327
0.161 0.130 0.868
0.173 0.519 0.912
0.169 0.028 0.574
0.827 0.481 0.088
0.839 0.870 0.132
0.199 0.654 0.206
0.481 0.234 0.673
```

Computed properties:
M_tot: 0.651 μB/atom
VASP energy: -5.64 eV/atom
symmetry: P-1
formation energy: -1.536 eV/atom

No. 4
This record from Materials Project describes an optimized crystal structure of FeSbCl8O8. The functional is GGA+U.

POSCAR file:
```
FeSbCl8O8
1.0
-6.834 2.990 0.441
-2.406 -6.692 4.789
2.996 4.562 7.250
O Cl Sb Fe
8 8 1 1
Direct
0.513 0.979 0.557
0.959 0.485 0.603
0.007 0.442 0.389
0.890 0.223 0.008
0.768 0.115 0.998
0.494 0.999 0.424
0.018 0.780 0.017
0.250 0.983 0.992
0.494 0.503 0.761
0.755 0.700 0.533
0.273 0.300 0.472
0.018 0.961 0.250
0.042 0.994 0.753
0.727 0.304 0.505
0.519 0.522 0.242
0.266 0.698 0.496
0.499 0.515 0.501
0.007 0.997 0.001
```

Computed properties:
M_tot: 0.833 μB/atom
VASP energy: -3.42 eV/atom
symmetry: P1
formation energy: 0.107 eV/atom
relative energy among the computed polymorphs: 0 meV per atom

No. 5
This record from Materials Project describes an optimized crystal structure of FeSbCl8O8. The functional is GGA+U.

POSCAR file:
```
FeSbCl8O8
1.0
6.910 0.000 0.000
0.000 6.910 0.000
0.000 0.000 8.877
O Cl Fe Sb
8 8 1 1
Direct
0.000 0.737 0.000
0.500 0.000 0.687
0.000 0.263 0.000
0.000 0.500 0.313
0.000 0.500 0.687
0.500 0.000 0.313